Is Santa Satanic?
The Cult of Saint Nicholas vs the Cult of “Santa”
In Holy Mother Church we speak of the “cultus” or “cult” of a Saint which is a term from the Latin word colere, which means to devote care to a person or thing and thus to venerate or worship (in the old English sense, i.e. not latria, but only dulia). Thus the cult of a Saint is the official worship of that Saint as approved by Holy Mother Church in the Sacred Liturgy (Holy Mass and the Divine Office) and other devotions.
On the 6th of December each year we honor in a particular way the cultus of that wonderful and great Bishop of Myra: Saint Nicholas.
There are few Saints of Holy Mother Church who have been so universally venerated both in the East and in the West as the great Bishop of Myra. The great devotion to him throughout the centuries is attested to in some detail by the Venerable Abbot Prosper Gueranger, O.S.B. in the first volume of his magnificent work: The Liturgical Year. This alone can attest to the fact that he was one of the holiest Saints the Church has ever seen, but of course we have a multitude of evidence of his holiness of life that have been passed down through the centuries.
One of the great events in the life of Saint Nicholas was his participation in the Council of Nicaea. He was one of the many Bishops that attended that first great Ecumenical Council to combat the first great Hersey of Arianism which denied the very divinity of Christ. While many of the Eastern Bishops sadly followed the Heresiarch Arius, Saint Nicholas stood alongside the likes of Saint Alexander of Alexandria and his successor the very Father of Orthodoxy himself: Saint Athansius, as well as the Saints Eustathius of Antioch, Macarius of Jerusalem, Eusebius of Nicomedia, and Eusebius of Caesarea.
It is said then that after having condemned the despicable heresy of Arianism a number of the Bishops in attendance were so disgusted with Arius that they formed a line and one after another struck Arius in the face, and it is believed that Saint Nicholas was among these.
It is likely from this incident that the great Father and Doctor of the Church of the following century, Saint John Chrysostom, derived the following injunction, which is related by his fellow Doctor of the Church Saint Alphonsus Liguori in his discourse on Blasphemy:
“Oh, if there were always found some one to do what St. John Chrysostom advises: ‘Strike his mouth, and sanctify thereby thy hand.’ The mouth of the accursed blasphemer should be struck, and he should then be stoned, as the old law commanded: And he that blasphemeth the name of the Lord, dying let him die: all the multitude shall stone him. (Lev. 24:16) But it would be better if that were done which St. Louis, King of France, put in force: he commanded by edict that every blasphemer should be branded on the mouth with an iron. A certain nobleman having blasphemed, many persons besought the king not to inflict that punishment upon him; but St. Louis insisted upon its infliction in every instance; and some taxing him with excessive cruelty on that account, he replied that he would suffer his own mouth to be burned sooner than allow such an outrage to be put upon God in his kingdom.”
This man Nicholas was truly a Bishop of the highest order. How we must pray for our own Bishops of today, and in particular for those in America, who are attacked from every side and in too many cases are being dragged down by the modern culture in the West, and even physically killed in the East.
Collect for the Feast of Saint Nicholas:
God, who didst glorify the blessed Bishop Nicholas with innumerable miracles; grant, we beseech thee, that, by his merits and prayers, we may be saved from the fires of hell. Through Jesus Christ, thy Son our Lord, Who liveth and reigneth with thee, in the unity of the Holy Ghost, ever one God, world without end. Amen.
Now Saint Nicholas is also in particular the special patron of Children as is related by Father Alban Butler in his Lives of the Saints:
“St. Nicholas is esteemed a patron of children, because he was from his infancy a model of innocence and virtue, and to form that tender age to sincere piety was always his first care and delight. To impress on the minds of children perfect sentiments of devotion, religion, and all virtues, with an earnestness in all duties, is a task often as delicate as it is important. Instructions must be made sensible, and adapted by similes, parables, and examples, to the weakness of their capacities. Above all, they are to be enforced by the conduct of those with whom children converse. They learn their maxims, imbibe their spirit, and are moulded upon their example. A child which sees those who are about him love their own ease, and ever seek what best pleases their senses; still more if he observes them to be choleric, peevish, vain, slothful, or impatient, will naturally cherish these passions, and yield up the government of himself to them, instead of learning by tractableness, humility, meekness, and self-denial, to subdue and govern them. And so in all other points. Precepts and exhortations lose their force when contradicted by example: and whilst the infant sees every one study to please himself in every thing, in flat opposition to the rules of the gospel, which he hears preached from their mouths, he seems tacitly persuaded, that such a conduct is reconcilable with those very maxims which condemn it.”
The Blasphemous and Perverse Legend and Custom of “Santa Claus”
Nota Bene: This article is in no way an attempt to condemn any individual person for their actions, because nearly every person who have done or are doing what will be discussed below have/are done/doing so in all good faith and in total ignorance. No intent has been made to impute any culpability to anyone save those whose duty it was to prevent this from happening in the first place. That said please read the following with an open and prayerful heart.
Now having given the true story of Saint Nicholas we will need to dispel some false notions held by the general public and even most good Catholics it seems today. He is among a group of Saints who are not truly known today because of the massive amount of misinformation being spread around, and glaring lack of any actual information to counterbalance it. Saint Francis of Assisi is one of the most misunderstood by Catholics as well as Saint Therese of Child Jesus and of the Holy Face.
Among the general populace, however, we see outright blasphemy against three saints in particular. First is the Feast of Saint Valentine (Feb. 14th), which has become a day of spreading every idea about true love but the true one. Saint Valentine died for the holy Sacrament of Marriage, and yet his feast is a day specially chosen for all manner of sexual sin and rampant fornication. No less maligned is the great Saint Patrick, one of the greatest Saints in the history of the Church who was known for his incredible austerity, and yet whose feast has been made merely and excuse for the grossest debauchery. What blasphemy!
Yet what has been done in regard to Saint Nicholas, it seems, is still yet more despicable. This great and holy saint who fought valiantly for the truth of Christ, and in particular for that most central of truths to our Holy Faith: the Divinity of Christ, has been used to completely obscure the second greatest feast celebrated on the Church calendar and the very teaching which he was willing to die to defend.
The figure of “Santa Claus” and the materialistic cult that has been built up around him in the United States has nearly completely obliterated any sense of the true meaning of the great Solemnity of the Nativity of our Lord Jesus Christ. Every American child knows who Santa is, but how many know who Jesus is? And if they do know our Lord, who are they thinking of at Christmas? Whose arrival are they excited for?
Not only has this evil been perpetrated, but it is made worse by the fact that in order to create the illusion of “magic” and “mystery” (to replace the Grace and Mystery of the Catholic faith which was been so rejected) parents lie to their children about the reality of this mythical figure. And how many children then are later devastated to discover that “Santa” isn’t real after all? And how many then begin to wonder: what else did my parents lie to me about? Maybe this Jesus I have never seen either is also just as fake as this “Santa” my parents have been lying to me about all these years.
Our Lord told us what he thought of this sort of thing in no uncertain terms:
But he that shall scandalize one of these little ones that believe in me, it were better for him that a millstone should be hanged about his neck, and that he should be drowned in the depth of the sea. (Matt. 18:6)
Now all of this would be bad enough, but there is yet one further and final point that must be explicated here in order to give the full extent of the problem. For in point of fact Saint Nicholas and “Santa Claus” have nothing in common or connecting them except that they share the same name. The reason they share the same name is because the actual name and personage of our beloved “Santa” is not the most lovable character after all. For in fact “Santa” is the Norse “god” Odin or Woden.
You make reference at least weekly if not daily to this pagan “god” because “Woden’s Day” we know better as: Wednesday. Scholarly research into the legend of Woden reveals that he is describes “as riding through the sky on an eight-legged, white horse name Sleipnir.” (Note that “Santa” originally had eight reindeers, and the modern addition of Rudolph only then makes nine). It was believed that Woden lived in Valhalla (the North) and had a “long white beard”. Woden would “fly through the sky during the winter solstice (December 21-25) rewarding the good children and punishing the naughty.” (Robin Crichton, “Who is Santa Claus? The Truth Behind a Living Legend”. The Bath Press, 1987, pp. 55-56)
This is corroborated by Mythologist Helene Adeline Guerber in her own research, though she attributes this same origin of “Santa” to the Norse “god” Thor:
“Thor was the god of the peasants and the common people. He was represented as an elderly man, jovial and friendly, of heavy build, with a long white beard. His element was the fire, his color red. The rumble and roar of thunder were said to be caused by the rolling of his chariot, for he alone among the gods never rode on horseback but drove in a chariot drawn by two white goats (called Cracker and Gnasher). He was fighting the giants of ice and snow, and thus became the Yule-god. He was said to live in the “Northland” where he had his palace among icebergs. By our pagan forefathers he was considered as the cheerful and friendly god, never harming the humans but rather helping and protecting them. The fireplace in every home was especially sacred to him, and he was said to come down through the chimney into his element, the fire.” (Guerber, H.A. Myths of Northern Lands. New York: American Book Company, 1895, p. 61)
But no matter how harmless this legend seems to our modern ears we must here remember the infallible and inerrant words of Sacred Scripture in regard to reality of pagan “gods”:
All the gods of the Gentiles are devils. (Ps 95:5)
Thus, just like any other pagan “god”, whether it be Thor or Woden, the fact remains that “Santa” is nothing more than a pagan “god” who then is nothing more than one of the fallen angels and a demon. And this is who our children across the country are worshiping: a demon.
This may be worst than all of what has preceded because this strikes directly at the heart of the following of the first, and most important, of all the commandments:
I am the Lord thy God, who brought thee out of the land of Egypt, out of the house of bondage. Thou shalt not have strange gods before me. (Ex 20:2-3)
A couple recommendations…
All Catholics ought to reject the materialist and pagan tradition of “Santa Claus”. One could go so far as the recommend that in order to remove all connection of this demonic tradition from our celebration of the Lords Nativity that we, as Catholics, return to an old Christian tradition, still kept by some Catholic families, of exchanging gifts not at Christmas, but rather 12 days later on the Solemnity of the Epiphany. And in this way we can connect this giving of gifts to the gifts given to the Christ child by Saints Melchior, Balthazar, and Gaspar; and use this as a yearly opportunity for catechesis.
== The text is interrupted by molecular data ==
# 1
Density functional theory data (the ωB97M-V functional and the def2-TZVPD basis) for a molecular structure, C45H54As2FN4O12SiSn.

Element x y z (Å)
Sn 0.6260 0.9649 -0.9998
C -3.9097 2.1708 -0.9790
Si -2.6248 1.3509 0.1565
C -2.4794 -0.4672 -0.3715
C -3.2443 1.3570 1.9538
N -1.0717 2.1039 -0.0169
C -0.8825 3.4444 0.2564
C -1.9079 4.3412 0.6148
C -1.6694 5.6783 0.8731
C -0.3893 6.2008 0.7714
C 0.6448 5.3542 0.4064
C 0.4008 4.0136 0.1756
O 1.4404 3.1609 -0.2313
C 2.6896 3.3008 0.3705
C 3.8057 3.1524 -0.4344
C 5.0689 3.2492 0.1244
C 5.2176 3.4947 1.4814
C 4.0915 3.6188 2.2830
C 2.8238 3.5166 1.7341
H -4.5064 1.4234 -1.5061
H -3.3914 2.7857 -1.7184
H -4.5990 2.8184 -0.4329
H -3.2740 -0.7410 -1.0675
H -2.5525 -1.1373 0.4874
H -1.5257 -0.6685 -0.8643
H -4.1564 0.7634 2.0570
H -3.4644 2.3647 2.3082
H -2.4942 0.9364 2.6293
H -2.9224 3.9748 0.6737
H -2.4980 6.3161 1.1553
H -0.1993 7.2487 0.9563
H 1.6510 5.7401 0.3060
H 3.6691 2.9486 -1.4888
H 5.9423 3.1329 -0.5033
H 6.2043 3.5861 1.9157
H 4.1951 3.7937 3.3462
H 1.9391 3.6106 2.3509
C 4.4758 -2.7730 5.0841
C 3.7016 -3.5496 4.0237
N 2.8004 -2.6909 3.2561
C 3.2687 -2.1161 2.1191
C 2.5436 -1.3314 1.2850
C 3.2377 -0.7516 0.0574
O 4.2022 -1.3675 -0.3834
O 2.7613 0.3501 -0.3635
C 1.1535 -1.1316 1.5453
O 0.3362 -0.5937 0.7747
C 0.6828 -1.6565 2.8277
C -0.6290 -1.3968 3.2200
C -1.1195 -1.8963 4.3930
F -2.4141 -1.6453 4.6887
C -0.3189 -2.6552 5.2613
C 0.9966 -2.8823 4.8813
C 1.5117 -2.4241 3.6627
N -0.7507 -3.1690 6.5157
C -2.0199 -2.7194 7.0895
C -2.1274 -3.2755 8.5208
N -0.7435 -3.5727 8.9978
C -0.1841 -4.7512 8.2627
C -0.5501 -4.5885 6.7763
H 5.1298 -3.4429 5.6421
H 3.8020 -2.2767 5.7840
H 5.0929 -2.0099 4.6102
H 3.1242 -4.3581 4.4704
H 4.3951 -4.0060 3.3202
H 4.2998 -2.3269 1.8610
H -1.2577 -0.8063 2.5653
H 1.6412 -3.4076 5.5724
H -2.8922 -3.0509 6.5215
H -2.0266 -1.6317 7.1080
H -2.6965 -4.2021 8.5572
H -2.5970 -2.5548 9.1854
H -0.7092 -3.7169 10.0052
H -0.1655 -2.7645 8.7554
H -0.6107 -5.6608 8.6805
H 0.8927 -4.7619 8.4194
H -1.4551 -5.1632 6.5407
H 0.2499 -4.9833 6.1596
C 1.6810 -3.3872 -2.0350
O 1.1941 -2.1401 -2.5501
C 0.0601 -2.2014 -3.2662
O -0.5495 -3.2267 -3.4312
C -0.3391 -0.8245 -3.6914
C -1.6250 -0.5936 -4.0538
As -2.0420 -1.7494 -5.5955
C -3.8778 -1.3192 -6.1620
C -1.0018 -0.3037 -6.5591
C 0.0822 0.3681 -6.1713
As 0.9961 0.4382 -4.3540
C 2.3641 -0.8681 -4.8834
C 0.9612 1.0234 -7.1971
O 1.3681 0.4222 -8.1534
O 1.3732 2.2872 -6.9870
C 0.6373 3.2060 -6.1742
C -1.4813 -0.3937 -7.9755
O -1.6417 -1.4866 -8.4577
O -1.8204 0.6924 -8.6781
C -1.7454 2.0141 -8.1522
C -2.0832 0.8228 -3.9840
O -1.4226 1.7334 -3.5284
O -3.3490 0.9695 -4.3691
C -3.9379 2.2724 -4.2863
H 2.7228 -3.2227 -1.7790
H 1.5763 -4.1705 -2.7827
H 1.1054 -3.6648 -1.1497
H -4.5553 -1.4802 -5.3249
H -4.1247 -2.0229 -6.9551
H -3.9897 -0.3049 -6.5338
H 1.9206 -1.7834 -5.2758
H 3.0020 -1.0945 -4.0311
H 2.9734 -0.4161 -5.6670
H 0.2891 4.0121 -6.8198
H 1.3092 3.6134 -5.4217
H -0.2124 2.7416 -5.6754
H -0.8165 2.4873 -8.4740
== The text goes on ==
Another idea is to actually celebrate the Feast of Saint Nicholas as it always has been in Christian tradition. And this is by the leaving of candy in the shoes of small children either the night before or at some point during the day, and then using this as an opportunity again for catechesis and for telling the wonderful stories of the miracles of Saint Nicholas and his love and generosity to the poor.